Let's Convert a Heathen: New Gameshow!


Morning in America
Registered Senior Member
Turkey has an exciting new gameshow featuring 10 atheists, a Christian, a Muslim, a Jew, and a Budhist. Although that sounds like the setup for a joke, it's an actual gameshow:
ISTANBUL (Reuters) - What happens when you put a Muslim imam, a Christian priest, a rabbi and a Buddhist monk in a room with 10 atheists?

Turkish television station Kanal T hopes the answer is a ratings success as it prepares to launch a gameshow where spiritual guides from the four faiths will seek to convert a group of non-believers.

The prize for converts will be a pilgrimage to a holy site of their chosen religion -- Mecca for Muslims, the Vatican for Christians, Jerusalem for Jews and Tibet for Buddhists.

But religious authorities in Muslim but secular Turkey are not amused by the twist on the popular reality game show format and the Religious Affairs Directorate is refusing to provide an imam for the show.

"Doing something like this for the sake of ratings is disrespectful to all religions. Religion should not be a subject for entertainment programs," High Board of Religious Affairs Chairman Hamza Aktan told state news agency Anatolian after news of the planned program emerged.

The makers of "Penitents Compete" are unrepentant and reject claims that the show, scheduled to begin broadcasting in September, will cheapen religion.

"We are giving the biggest prize in the world, the gift of belief in God," Kanal T chief executive Seyhan Soylu told Reuters.

"We don't approve of anyone being an atheist. God is great and it doesn't matter which religion you believe in. The important thing is to believe," Soylu said.

The project focuses attention on the issue of religious identity in European Union-candidate Turkey, where rights groups have raised concerns over freedom of religion for non-Muslim minorities.

Detractors of the ruling AK Party government, which is rooted in political Islam but officially secular, accuse it of having a hidden Islamist agenda, a charge it denies.

Some 200 people have so far applied to take part in the show and the 10 contestants will be chosen next month.

A team of theologians will ensure that the atheists are truly non-believers and are not just seeking fame or a free holiday. http://www.reuters.com/article/ente...RSS&feedName=entertainmentNews&rpc=22&sp=true
The mere fact they're open to being converted completely contests their atheism. They should have used 10 agnostics in that case. This strikes me as a religious raffle. What's the prize? One other point, since Buddhism was only brought to Tibet in 754 AD, I'd have thought Bodh Gaya a better pilgrimage. I know if I were an atheist I'd not even contemplate this since I'd have faith in my own convictions, I couldn't be "converted" by any religion. They obviously have a few questions still lurking in the back of their minds. In which case they're not atheists.
"Doing something like this for the sake of ratings is disrespectful to all religions. Religion should not be a subject for entertainment programs,"


DRINK! Feck off!
Hindu's don't evangelize.

Oh please! Hari Krishnas evangelize like crazy. Literally like crazy.

What do you get if you don't covnervt?

Can I go apostate after the prize?

If I pick Jew or Muslim and my dick isn't whacked do I have to get trimmed before the trip?

# 1
First-principles (r2SCAN) data for crystalline CaSmPd2 at its relaxed geometry, as listed in the Materials Project.

a = 4.9954 Å, b = 4.9954 Å, c = 4.9954 Å
α = 60.00°, β = 60.00°, γ = 60.00°
With the nearest neighbours (Å) after each atom.
Fractional coordinates of all 4 atoms:
Pd  0.7500  0.7500  0.7500  4 Ca 3.06, 4 Sm 3.06
Pd  0.2500  0.2500  0.2500  4 Ca 3.06, 4 Sm 3.06
Sm  0.0000  0.0000  0.0000  8 Pd 3.06
Ca  0.5000  0.5000  0.5000  8 Pd 3.06

Formation energy from the elements in meV/atom: -760

***

# 2
First-principles (r2SCAN) data for crystalline ZrNiGe at its relaxed geometry, as listed in the Materials Project.

a = 3.8762 Å, b = 6.5576 Å, c = 7.3335 Å
α = 90.00°, β = 90.00°, γ = 90.00°
With the nearest neighbours (Å) after each atom.
Fractional coordinates of all 12 atoms:
Ge  0.2500  0.7675  0.3865  4 Ni 2.41-2.52
Ge  0.2500  0.2675  0.1135  4 Ni 2.41-2.52
Ge  0.7500  0.2325  0.6135  4 Ni 2.41-2.52
Ge  0.7500  0.7325  0.8865  4 Ni 2.41-2.52
Zr  0.7500  0.4830  0.3092  5 Ge 2.75-2.80, 3 Ni 2.84
Zr  0.2500  0.0170  0.8092  5 Ge 2.75-2.80, 3 Ni 2.84
Zr  0.2500  0.5170  0.6908  5 Ge 2.75-2.80, 3 Ni 2.84
Zr  0.7500  0.9830  0.1908  5 Ge 2.75-2.80, 3 Ni 2.84
Ni  0.2500  0.6395  0.0623  4 Ge 2.41-2.52
Ni  0.7500  0.8605  0.5623  4 Ge 2.41-2.52
Ni  0.7500  0.3605  0.9377  4 Ge 2.41-2.52
Ni  0.2500  0.1395  0.4377  4 Ge 2.41-2.52

Formation energy from the elements in meV/atom: -827

***

# 3
First-principles (r2SCAN) data for crystalline Tb3SiBr3 at its relaxed geometry, as listed in the Materials Project.

a = 10.0234 Å, b = 10.0237 Å, c = 10.0233 Å
α = 109.47°, β = 109.47°, γ = 109.47°
With the nearest neighbours (Å) after each atom.
Fractional coordinates of all 28 atoms:
Br  0.5065  0.2500  0.9935  4 Tb 2.98-3.04
Br  0.2500  0.7564  0.7435  4 Tb 2.98-3.04
Br  0.7565  0.5129  0.5065  4 Tb 2.98-3.04
Br  0.2500  0.9936  0.5065  4 Tb 2.98-3.04
Br  0.5065  0.7564  0.5129  4 Tb 2.98-3.04
Br  0.9935  0.9871  0.7435  4 Tb 2.98-3.04
Br  0.7565  0.7436  0.2500  4 Tb 2.98-3.04
Br  0.7436  0.2500  0.7565  4 Tb 2.98-3.04
Br  0.9935  0.5064  0.2500  4 Tb 2.98-3.04
Br  0.5129  0.5064  0.7564  4 Tb 2.98-3.04
Br  0.9871  0.7435  0.9935  4 Tb 2.98-3.04
Br  0.7436  0.9936  0.9871  4 Tb 2.98-3.04
Si  0.5000  0.0000  0.2500  6 Tb 2.76
Si  0.0000  0.2500  0.5000  6 Tb 2.76
Si  0.2500  0.5000  0.0000  6 Tb 2.76
Si  0.2500  0.2500  0.2500  6 Tb 2.76
Tb  0.2382  0.2618  0.7500  2 Si 2.76, 4 Br 2.98-3.04
Tb  0.2618  0.0118  0.0237  2 Si 2.76, 4 Br 2.98-3.04
Tb  0.7500  0.2382  0.2618  2 Si 2.76, 4 Br 2.98-3.04
Tb  0.2618  0.7500  0.2382  2 Si 2.76, 4 Br 2.98-3.04
Tb  0.0118  0.4882  0.7500  2 Si 2.76, 4 Br 2.98-3.04
Tb  0.2382  0.4763  0.4882  2 Si 2.76, 4 Br 2.98-3.04
Tb  0.0237  0.2618  0.0118  2 Si 2.76, 4 Br 2.98-3.04
Tb  0.4882  0.2382  0.4763  2 Si 2.76, 4 Br 2.98-3.04
Tb  0.4882  0.7500  0.0118  2 Si 2.76, 4 Br 2.98-3.04
Tb  0.4763  0.4882  0.2382  2 Si 2.76, 4 Br 2.98-3.04
Tb  0.0118  0.0237  0.2618  2 Si 2.76, 4 Br 2.98-3.04
**The entry goes on:**

What about if I choose raelian? Do I get complimentary women for my trip?
Its a good idea. But they should have named it Soul Survivor. :D
I would be very surprised. Discussing religion is easier in the Arab countries than it is the US.

Plus I would not be surprised if the atheist organisations got their panties in a wad about it.
I would be very surprised. Discussing religion is easier in the Arab countries than it is the US.

Plus I would not be surprised if the atheist organisations got their panties in a wad about it.
Easy enough to deal with the atheists. Make the contestants 10 agnostics and let one of the competing "faiths" be atheism.
Are there enough agnostics to go around? :p

Maybe they could have a game show where the atheists try to convert a theist. :p
I hope they don't take the "Survivor" portion of the show too seriously.
Detractors of the ruling AK Party government, which is rooted in political Islam but officially secular, accuse it of having a hidden Islamist agenda, a charge it denies.

. . . . if it walks like a duck, acts like a duck, and quacks like a duck. . .

lol. yes, they should definitely use young college agnostics that were not brought up in religious household instead of atheists.

If there were an American version, it would definitely have to include Mormons, Jehovah Witnesses, Christian Scientists, and Scientologists. . . . with a little bit of some boxing gloves a la American gladiator style, to see who gets first dibs at the converting process. :p Those newer faiths can be quite brutal & tenacious when it comes to proselytizing for new recruits.
. . . . if it walks like a duck, acts like a duck, and quacks like a duck. . .

lol. yes, they should definitely use young college agnostics that were not brought up in religious household instead of atheists.

If there were an American version, it would definitely have to include Mormons, Jehovah Witnesses, Christian Scientists, and Scientologists. . . . with a little bit of some boxing gloves a la American gladiator style, to see who gets first dibs at the converting process. :p Those newer faiths can be quite brutal & tenacious when it comes to proselytizing for new recruits.
Wouldn't you love to see a Mormon v/s Jehovah's witness smack down tag team match?
"a hidden Islamic agenda" :eek:

-- Data records that have nothing to do with the piece --
+++
First-principles (PBE) data for a relaxed structure of Mg6Si5, as listed in Materials Project.

Cell lengths 4.6793, 6.7027, 14.3449 Å; angles 98.66, 92.17, 96.88 degrees
Space group P1 (No. 1)
Symmetry-distinct sites (fractional):
Mg (0.0000, 0.0000, 0.0000)
Mg (0.0035, 0.5129, 0.9912)
Mg (0.3928, 0.8631, 0.4837)
Mg (0.4160, 0.2353, 0.8822)
Mg (0.4808, 0.3018, 0.1039)
Mg (0.5175, 0.7122, 0.8964)
Mg (0.5875, 0.7732, 0.1210)
Mg (0.8498, 0.5280, 0.3711)
Mg (0.8668, 0.7197, 0.6084)
Mg (0.9272, 0.9908, 0.3547)
Mg (0.9441, 0.1884, 0.5633)
Mg (0.9730, 0.4538, 0.7758)
Si (0.0314, 0.5217, 0.1775)
Si (0.2223, 0.8566, 0.7683)
Si (0.3400, 0.4961, 0.5237)
Si (0.3632, 0.7374, 0.2939)
Si (0.4157, 0.0968, 0.2550)
Si (0.4573, 0.4039, 0.6798)
Si (0.4823, 0.2183, 0.4223)
Si (0.4929, 0.0430, 0.6656)
Si (0.8160, 0.0211, 0.8049)
Si (0.9498, 0.1603, 0.1935)

Results
DFT total energy ... -3.231 eV/atom
Total magnetization ... 0.0 μB/cell
Energy of formation ... 0.140 eV/atom
+++
-- End of the data records --

No way! Muslims would never stoop that low, would they?

Sam, explain this.

Unless the show is well scripted (hidden Islamic agenda), the atheists should be able to take the piss out of the theists, easily.
detractors said:
Islamist agenda

It would appear that detractors of Muslims are the same worldwide.

What comes next are records of crystals, not part of the piece
+++
RbMo3Cl7: relaxed, PBE-GGA.

Cell and atoms, written as CIF:
```
data_RbMo3Cl7
_cell_length_a 19.857
_cell_length_b 15.147
_cell_length_c 9.520
_cell_angle_alpha 90.00
_cell_angle_beta 115.78
_cell_angle_gamma 90.00
_symmetry_space_group_name_H-M 'C 1 2/c 1'
_symmetry_Int_Tables_number 15
loop_
_symmetry_equiv_pos_as_xyz
'x,y,z'
'-x,-y,-z'
'-x,y,-z+1/2'
'x,-y,z+1/2'
'x+1/2,y+1/2,z'
'-x+1/2,-y+1/2,-z'
'-x+1/2,y+1/2,-z+1/2'
'x+1/2,-y+1/2,z+1/2'
loop_
_atom_site_label
_atom_site_fract_x
_atom_site_fract_y
_atom_site_fract_z
_atom_site_occupancy
Rb1 0.000 0.000 0.000 1
Rb2 0.000 0.432 0.250 1
Mo1 0.172 0.310 0.841 1
Mo2 0.195 0.147 0.945 1
Mo3 0.209 0.278 0.137 1
Cl1 0.069 0.391 0.633 1
Cl2 0.085 0.234 0.928 1
Cl3 0.121 0.007 0.867 1
Cl4 0.155 0.315 0.316 1
Cl5 0.162 0.182 0.667 1
Cl6 0.190 0.431 0.030 1
Cl7 0.232 0.123 0.228 1
```

---

KCaN: relaxed, PBE-GGA.

Cell and atoms, written as CIF:
```
data_KCaN
_cell_length_a 6.770
_cell_length_b 3.906
_cell_length_c 6.667
_cell_angle_alpha 90.00
_cell_angle_beta 109.88
_cell_angle_gamma 90.00
_symmetry_space_group_name_H-M 'C 1 m 1'
_symmetry_Int_Tables_number 8
loop_
_symmetry_equiv_pos_as_xyz
'x,y,z'
'x,-y,z'
'x+1/2,y+1/2,z'
'x+1/2,-y+1/2,z'
loop_
_atom_site_label
_atom_site_fract_x
_atom_site_fract_y
_atom_site_fract_z
_atom_site_occupancy
K1 0.000 0.000 0.000 1
Ca1 0.466 0.000 0.397 1
N1 0.262 0.500 0.284 1
```

---

# PBE-GGA Dy3Se4O12F, relaxed
data_Dy3Se4O12F
_cell_length_a 10.4630
_cell_length_b 10.4630
_cell_length_c 6.8862
_cell_angle_alpha 90.00
_cell_angle_beta 90.00
_cell_angle_gamma 120.00
_symmetry_space_group_name_H-M 'P 63 m c'
_symmetry_Int_Tables_number 186
_symmetry_space_group_name_Hall 'P 6c -2c'
loop_
_atom_site_label
_atom_site_fract_x
_atom_site_fract_y
_atom_site_fract_z
_atom_site_occupancy
Dy1 0.0756 0.5378 0.0000 1
Se1 0.1550 0.3100 0.7669 1
Se2 0.3333 0.6667 0.4340 1
O1 0.0806 0.4169 0.6970 1
O2 0.1616 0.5808 0.3213 1
O3 0.1822 0.3645 0.0066 1
F1 0.3333 0.6667 0.9546 1
# piezoelectric modulus e_max = 0.288 C/m2

---

ErPS4: relaxed, PBE-GGA.

Cell and atoms, written as CIF:
```
data_ErPS4
_cell_length_a 10.747
_cell_length_b 10.747
_cell_length_c 19.017
_cell_angle_alpha 90.00
_cell_angle_beta 90.00
_cell_angle_gamma 90.00
_symmetry_space_group_name_H-M 'I 41/a c d'
_symmetry_Int_Tables_number 142
loop_
_symmetry_equiv_pos_as_xyz
'x,y,z'
'-x,-y,-z'
'-y+1/4,x+3/4,z+1/4'
'y+1/4,-x+3/4,-z+1/4'
'-x+1/2,-y,z+1/2'
'x+1/2,y,-z+1/2'
'y+1/4,-x+1/4,z+3/4'
'-y+1/4,x+1/4,-z+3/4'
'x,-y,-z+1/2'
'-x,y,z+1/2'
'-y+1/4,-x+1/4,-z+1/4'
'y+1/4,x+1/4,z+1/4'
'-x+1/2,y,-z'
'x+1/2,-y,z'
'y+1/4,x+3/4,-z+3/4'
'-y+1/4,-x+3/4,z+3/4'
'x+1/2,y+1/2,z+1/2'
'-x+1/2,-y+1/2,-z+1/2'
'-y+3/4,x+1/4,z+3/4'
'y+3/4,-x+1/4,-z+3/4'
'-x,-y+1/2,z'
'x,y+1/2,-z'
'y+3/4,-x+3/4,z+1/4'
'-y+3/4,x+3/4,-z+1/4'
'x+1/2,-y+1/2,-z'
'-x+1/2,y+1/2,z'
'-y+3/4,-x+3/4,-z+3/4'
'y+3/4,x+3/4,z+3/4'
'-x,y+1/2,-z+1/2'
'x,-y+1/2,z+1/2'
+++

the atheists should be able to take the piss out of the theists, easily.

Yeah, just look at me for example. All the atheists taking the piss out of me, easily.